Work out how many lines underneath have the word "Largest" in them; a number is enough.
........
For RbCoAgTeSe2, DFT lattice parameters and positions (PBE) gives the simulated powder X-ray diffraction pattern in this record (a wavelength of 1.5418 Å).

Largest 12 diffraction maxima, sorted by position, 2θ = 10–80°:
| Position (°2θ) | d/Å | I/Imax |
| --- | --- | --- |
| 10.58 | 8.360 | 100 |
| 30.55 | 2.926 | 93 |
| 32.12 | 2.787 | 23 |
| 34.30 | 2.614 | 49 |
| 36.50 | 2.462 | 30 |
| 39.26 | 2.295 | 34 |
| 47.70 | 1.907 | 14 |
| 50.11 | 1.820 | 17 |
| 50.94 | 1.793 | 15 |
| 53.11 | 1.725 | 25 |
| 57.89 | 1.593 | 14 |
| 62.13 | 1.494 | 20 |

Structure:
Lattice parameters (Å, degrees): 8.556 8.556 10.458 90.00 90.00 155.43
Sites, in units of the cell vectors:
Rb  0.249  0.751  0.750
Rb  0.751  0.249  0.250
Co  0.500  0.500  0.000
Co  0.500  0.500  0.500
Ag  0.075  0.925  0.250
Ag  0.925  0.075  0.750
Te  0.443  0.557  0.250
Te  0.557  0.443  0.750
Se  0.097  0.903  0.012
Se  0.097  0.903  0.488
Se  0.903  0.097  0.512
Se  0.903  0.097  0.988
........
1